(Activity)
Print everything further below character by character.

(Input)
'''
Calculated powder XRD pattern
Compound: MgGaF
Radiation: Cu Ka
Structure: a crystal structure in Alexandria, relaxed with GGA-PBE

Top 12 peaks for 5 to 70 degrees two-theta, by angle:
two_theta, d/Å, I_rel
8.3, 10.685, 100
32.0, 2.799, 6
32.3, 2.768, 10
34.9, 2.574, 47
37.6, 2.395, 22
39.2, 2.301, 27
42.3, 2.137, 7
42.8, 2.113, 20
49.2, 1.853, 10
56.7, 1.622, 20
57.5, 1.604, 6
68.4, 1.372, 6

Structure:
abc: 3.2446 3.2446 32.0537
angles: 90.00 90.00 120.00
Space group R3m (No. 160, hexagonal axes)
One atom of each set of equivalent atoms:
Mg1 0.0000 0.0000 0.0000 (multiplicity 3)
Mg2 0.0000 0.0000 0.4743 (multiplicity 3)
Ga1 0.0000 0.0000 0.2659 (multiplicity 3)
Ga2 0.0000 0.0000 0.8754 (multiplicity 3)
F1 0.0000 0.0000 0.1131 (multiplicity 3)
F2 0.0000 0.0000 0.6948 (multiplicity 3)

=====

Calculated powder XRD pattern
Compound: LiGa3Ag4
Radiation: Cu Ka
Structure: a crystal structure in Alexandria, relaxed with GGA-PBE

Top 12 peaks for 5 to 70 degrees two-theta, by angle:
two_theta, d/Å, I_rel
9.7, 9.150, 58
18.5, 4.803, 14
36.6, 2.454, 100
39.4, 2.288, 54
39.9, 2.257, 56
40.1, 2.247, 30
40.7, 2.215, 42
41.7, 2.167, 32
45.7, 1.983, 35
62.4, 1.488, 13
63.1, 1.474, 14
63.6, 1.463, 12

Structure:
abc: 2.9769 5.0405 9.5111
angles: 77.05 81.01 89.88
Space group P-1 (No. 2)
One atom of each set of equivalent atoms:
Li1 0.0000 0.0000 0.0000 (multiplicity 1)
Ga1 0.3756 0.7049 0.2501 (multiplicity 2)
Ga2 0.5000 0.5000 0.0000 (multiplicity 1)
Ag1 0.1185 0.8032 0.7610 (multiplicity 2)
Ag2 0.2505 0.2520 0.4998 (multiplicity 2)

=====

Calculated powder XRD pattern
Compound: DyCu3
Radiation: Cu Ka
Structure: a crystal structure in Alexandria, relaxed with GGA-PBE

Top 12 peaks for 5 to 70 degrees two-theta, by angle:
two_theta, d/Å, I_rel
24.5, 3.627, 14
29.8, 2.995, 62
33.8, 2.656, 18
35.0, 2.564, 6
39.0, 2.309, 100
42.2, 2.143, 42
50.3, 1.813, 32
58.0, 1.591, 10
59.6, 1.551, 17
62.0, 1.497, 12
63.9, 1.457, 12
67.7, 1.384, 20

Structure:
abc: 3.6265 3.6265 5.3112
angles: 90.00 90.00 90.00
Space group P4mm (No. 99)
One atom of each set of equivalent atoms:
Dy1 0.0000 0.0000 0.0000 (multiplicity 1)
Cu1 0.0000 0.5000 0.5559 (multiplicity 2)
Cu2 0.5000 0.5000 0.2447 (multiplicity 1)

=====

Calculated powder XRD pattern
Compound: Ba3Ni3N5
Radiation: Cu Ka
Structure: a crystal structure in Alexandria, relaxed with GGA-PBE

Top 12 peaks for 5 to 70 degrees two-theta, by angle:
two_theta, d/Å, I_rel
24.2, 3.681, 29
27.5, 3.244, 29
28.2, 3.167, 60
29.4, 3.041, 21
29.7, 3.010, 64
30.4, 2.945, 84
30.8, 2.901, 100
32.4, 2.767, 21
32.9, 2.726, 56
36.1, 2.490, 32
37.6, 2.394, 23
39.7, 2.269, 29

Structure:
abc: 6.3243 7.3913 9.3691
angles: 111.09 107.48 95.17
Space group P-1 (No. 2)
One atom of each set of equivalent atoms:
Ba1 0.0438 0.0336 0.2136 (multiplicity 2)
Ba2 0.2743 0.4751 0.1166 (multiplicity 2)
Ba3 0.2996 0.7126 0.5894 (multiplicity 2)
Ni1 0.1953 0.4105 0.7510 (multiplicity 2)
Ni2 0.3398 0.1679 0.6090 (multiplicity 2)
Ni3 0.4392 0.8456 0.0173 (multiplicity 2)
N1 0.1646 0.6475 0.8838 (multiplicity 2)
N2 0.1706 0.3268 0.5324 (multiplicity 2)
N3 0.3535 0.2354 0.8265 (multiplicity 2)
N4 0.3713 0.1026 0.0952 (multiplicity 2)
N5 0.4168 0.9788 0.4308 (multiplicity 2)

=====

Calculated powder XRD pattern
Compound: Ca3Tb3Pt4
Radiation: Cu Ka
Structure: a crystal structure in Alexandria, relaxed with GGA-PBE

Top 12 peaks for 5 to 70 degrees two-theta, by angle:
two_theta, d/Å, I_rel
15.8, 5.614, 40
16.1, 5.500, 13
34.0, 2.636, 83
34.3, 2.612, 100
35.9, 2.500, 27
36.4, 2.470, 24
46.0, 1.973, 20
46.2, 1.964, 21
59.7, 1.549, 14
67.3, 1.392, 14
68.1, 1.377, 17
69.1, 1.360, 16

Structure:
abc: 3.9462 11.0000 11.2274
angles: 90.00 90.00 90.00
Space group Amm2 (No. 38)
One atom of each set of equivalent atoms:
Ca1 0.0000 0.0000 0.0000 (multiplicity 2)
Ca2 0.5000 0.2463 0.0909 (multiplicity 4)
Tb1 0.0000 0.0000 0.6865 (multiplicity 2)
Tb2 0.0000 0.1577 0.3429 (multiplicity 4)
Pt1 0.5000 0.0000 0.2161 (multiplicity 2)
'''

(Done)
Calculated powder XRD pattern
Compound: MgGaF
Radiation: Cu Ka
Structure: a crystal structure in Alexandria, relaxed with GGA-PBE

Top 12 peaks for 5 to 70 degrees two-theta, by angle:
two_theta, d/Å, I_rel
8.3, 10.685, 100
32.0, 2.799, 6
32.3, 2.768, 10
34.9, 2.574, 47
37.6, 2.395, 22
39.2, 2.301, 27
42.3, 2.137, 7
42.8, 2.113, 20
49.2, 1.853, 10
56.7, 1.622, 20
57.5, 1.604, 6
68.4, 1.372, 6

Structure:
abc: 3.2446 3.2446 32.0537
angles: 90.00 90.00 120.00
Space group R3m (No. 160, hexagonal axes)
One atom of each set of equivalent atoms:
Mg1 0.0000 0.0000 0.0000 (multiplicity 3)
Mg2 0.0000 0.0000 0.4743 (multiplicity 3)
Ga1 0.0000 0.0000 0.2659 (multiplicity 3)
Ga2 0.0000 0.0000 0.8754 (multiplicity 3)
F1 0.0000 0.0000 0.1131 (multiplicity 3)
F2 0.0000 0.0000 0.6948 (multiplicity 3)

=====

Calculated powder XRD pattern
Compound: LiGa3Ag4
Radiation: Cu Ka
Structure: a crystal structure in Alexandria, relaxed with GGA-PBE

Top 12 peaks for 5 to 70 degrees two-theta, by angle:
two_theta, d/Å, I_rel
9.7, 9.150, 58
18.5, 4.803, 14
36.6, 2.454, 100
39.4, 2.288, 54
39.9, 2.257, 56
40.1, 2.247, 30
40.7, 2.215, 42
41.7, 2.167, 32
45.7, 1.983, 35
62.4, 1.488, 13
63.1, 1.474, 14
63.6, 1.463, 12

Structure:
abc: 2.9769 5.0405 9.5111
angles: 77.05 81.01 89.88
Space group P-1 (No. 2)
One atom of each set of equivalent atoms:
Li1 0.0000 0.0000 0.0000 (multiplicity 1)
Ga1 0.3756 0.7049 0.2501 (multiplicity 2)
Ga2 0.5000 0.5000 0.0000 (multiplicity 1)
Ag1 0.1185 0.8032 0.7610 (multiplicity 2)
Ag2 0.2505 0.2520 0.4998 (multiplicity 2)

=====

Calculated powder XRD pattern
Compound: DyCu3
Radiation: Cu Ka
Structure: a crystal structure in Alexandria, relaxed with GGA-PBE

Top 12 peaks for 5 to 70 degrees two-theta, by angle:
two_theta, d/Å, I_rel
24.5, 3.627, 14
29.8, 2.995, 62
33.8, 2.656, 18
35.0, 2.564, 6
39.0, 2.309, 100
42.2, 2.143, 42
50.3, 1.813, 32
58.0, 1.591, 10
59.6, 1.551, 17
62.0, 1.497, 12
63.9, 1.457, 12
67.7, 1.384, 20

Structure:
abc: 3.6265 3.6265 5.3112
angles: 90.00 90.00 90.00
Space group P4mm (No. 99)
One atom of each set of equivalent atoms:
Dy1 0.0000 0.0000 0.0000 (multiplicity 1)
Cu1 0.0000 0.5000 0.5559 (multiplicity 2)
Cu2 0.5000 0.5000 0.2447 (multiplicity 1)

=====

Calculated powder XRD pattern
Compound: Ba3Ni3N5
Radiation: Cu Ka
Structure: a crystal structure in Alexandria, relaxed with GGA-PBE

Top 12 peaks for 5 to 70 degrees two-theta, by angle:
two_theta, d/Å, I_rel
24.2, 3.681, 29
27.5, 3.244, 29
28.2, 3.167, 60
29.4, 3.041, 21
29.7, 3.010, 64
30.4, 2.945, 84
30.8, 2.901, 100
32.4, 2.767, 21
32.9, 2.726, 56
36.1, 2.490, 32
37.6, 2.394, 23
39.7, 2.269, 29

Structure:
abc: 6.3243 7.3913 9.3691
angles: 111.09 107.48 95.17
Space group P-1 (No. 2)
One atom of each set of equivalent atoms:
Ba1 0.0438 0.0336 0.2136 (multiplicity 2)
Ba2 0.2743 0.4751 0.1166 (multiplicity 2)
Ba3 0.2996 0.7126 0.5894 (multiplicity 2)
Ni1 0.1953 0.4105 0.7510 (multiplicity 2)
Ni2 0.3398 0.1679 0.6090 (multiplicity 2)
Ni3 0.4392 0.8456 0.0173 (multiplicity 2)
N1 0.1646 0.6475 0.8838 (multiplicity 2)
N2 0.1706 0.3268 0.5324 (multiplicity 2)
N3 0.3535 0.2354 0.8265 (multiplicity 2)
N4 0.3713 0.1026 0.0952 (multiplicity 2)
N5 0.4168 0.9788 0.4308 (multiplicity 2)

=====

Calculated powder XRD pattern
Compound: Ca3Tb3Pt4
Radiation: Cu Ka
Structure: a crystal structure in Alexandria, relaxed with GGA-PBE

Top 12 peaks for 5 to 70 degrees two-theta, by angle:
two_theta, d/Å, I_rel
15.8, 5.614, 40
16.1, 5.500, 13
34.0, 2.636, 83
34.3, 2.612, 100
35.9, 2.500, 27
36.4, 2.470, 24
46.0, 1.973, 20
46.2, 1.964, 21
59.7, 1.549, 14
67.3, 1.392, 14
68.1, 1.377, 17
69.1, 1.360, 16

Structure:
abc: 3.9462 11.0000 11.2274
angles: 90.00 90.00 90.00
Space group Amm2 (No. 38)
One atom of each set of equivalent atoms:
Ca1 0.0000 0.0000 0.0000 (multiplicity 2)
Ca2 0.5000 0.2463 0.0909 (multiplicity 4)
Tb1 0.0000 0.0000 0.6865 (multiplicity 2)
Tb2 0.0000 0.1577 0.3429 (multiplicity 4)
Pt1 0.5000 0.0000 0.2161 (multiplicity 2)